Monday, July 9, 2012

Diligence is the name of the game... ADIOS laziness and procrastination

What's that sound...
Oh it's just me.
- - - - - - - - - - - - - - - - - - - - - - - - - - - - - - - - - - - - - - - - - - - - - - - - - - - - - - - - 
HEYYYYYYYY Blog-o-sphere!

Next to the text, the page also holds records of crystals:
+++
# DyNpIr

A relaxed DyNpIr crystal (PBE, Alexandria via LeMat-Bulk).

Total magnetic moment: 0.000 μB/f.u.
Density of states at the Fermi level: 1.487 states/eV/atom
Formation energy from the elements: -1.12 eV/f.u.
Uncorrected energy: -9.176 eV per atom

Lattice parameters (Å, degrees): 10.773 3.806 7.826 90.00 125.25 90.00
Space group C2/m (No. 12)
Unique sites:
Dy1 0.082 0.000 0.366 x4
+++
End of the records of crystals:

So I'm trying this out, once again, after the few miserable attempts I've had before at blogging. Maybe this time, with a little patience and diligence it will stick like a bad habit.

Not that it's so much of a 'bad' habit, as it is another piece of my life that I will have to put in some time and a wee bit of effort that I may or may not end up letting fall to the way side like I have in the past. But I have a good reason for starting this up right now, at 12:11 in the morning (or what I'm doing before I head off to bed).

See, it's all apart of my new goal to become more diligent in my life. I know blogs can be seen as a waste of time and maybe no one will actually read this. But I wanted to get something on board while I still had the umph and drive to want to get it started... because let's face it, setting up any kind of personal website/space takes up a lot of time and I tend to get bored quite easily.

Ultimately, this whole endeavor is the result of my new resolve thanks to my bible study tonight. CONVICTION is the name of the game. 
--For those who don't know about the church or aren't familiar with the Des Moines area, I am a member of the Downtown Church in the East Village. The DTC (as we lovingly call it) is a non-denominational, evangelical church located by the Life Serve Blood Center... just down from the Capitol Building. Since I started attending last October, it has changed my life and I will forever be a gracious advertisement for them because I will never be the same. 

Anyways... tonight at our weekly bible study meeting for Epicenter - the summer-long event that includes recreational and competitive volleyball leagues, sharing the Gospel with the public, and amazing fellowship with my friends - we were challenged to read our bibles at least 15 minutes a day for 30 days straight, plus getting into memorizing verses and working on our prayer life. We've been reading Romans 12 and are studying how to live as a R12 Christian. The message was about our sexual immorality: how the media really affects everyone and how we need to re-evaluate what that looks like in our own lives. Tough stuff. But so prevalent and real.

Some of my friends from the DTC and I looking goooooood
Handing out breakfast to Des Moines during Mission to the city
That is the beauty of the DTC. Each time I go in, I come out feeling so convicted of my sin, my sinful nature, and so much more aware of how my flesh gets control of my life each and every day. BUT this is where you need to really hear me out. While I may feel convicted down to my very core, having realizations of where I truly lack as a Christian, I always feel better and genuinely want to change my life/behavior to reflect Christ more clearly.

Hebrews 12:11: No discipline seems pleasant at the time, but painful. Later on, however, it produces a harvest of righteousness and peace for those who have been trained by it.

********
Li3HSe, optimized geometry, DFT PBE-GGA; energy above the lowest structure with this stoichiometry = 0 meV/atom; size of the total moment = 0.00 μB per formula unit; space-group type = No. 221; N(E_F) = 0.00 states/eV/atom
1.0
3.938 0.000 0.000
0.000 3.938 0.000
0.000 0.000 3.938
Li H Se
3 1 1
direct
0.000 0.000 0.500
0.000 0.500 0.000
0.500 0.000 0.000
0.000 0.000 0.000
0.500 0.500 0.500


CaY2Te, optimized geometry, DFT PBE-GGA; energy relative to the elements, uncorrected = -604 meV per atom; size of the total moment = 0.00 μB per formula unit; space-group type = No. 99; N(E_F) = 0.95 states/eV/atom
1.0
3.904 0.000 0.000
0.000 3.904 0.000
0.000 0.000 8.349
Ca Y Te
1 2 1
direct
0.000 0.000 0.000
0.000 0.000 0.438
0.500 0.500 0.692
0.500 0.500 0.241


TlIrC2N, optimized geometry, DFT PBE-GGA; energy relative to the elements, uncorrected = 2962 meV per atom; size of the total moment = 0.00 μB per formula unit; space-group type = No. 123; N(E_F) = 0.45 states/eV/atom
1.0
3.759 0.000 0.000
0.000 3.759 0.000
0.000 0.000 4.698
Tl Ir C N
1 1 2 1
direct
0.000 0.000 0.000
0.500 0.500 0.000
0.000 0.500 0.500
0.500 0.000 0.500
0.000 0.000 0.500


TaSb2Mo, optimized geometry, DFT PBE-GGA; energy relative to the elements, uncorrected = 145 meV per atom; size of the total moment = 0.00 μB per formula unit; space-group type = No. 35; N(E_F) = 0.81 states/eV/atom
1.0
3.637 0.000 0.000
0.000 4.884 0.000
0.000 0.000 10.173
Ta Sb Mo
2 4 2
direct
0.000 0.000 0.000
0.500 0.500 0.000
0.000 0.000 0.412
0.000 0.500 0.780
0.500 0.000 0.780
0.500 0.500 0.412
0.000 0.500 0.199
0.500 0.000 0.199


NpGeAs2, optimized geometry, DFT PBE-GGA; formation enthalpy at 0 K = -0.3195 eV per atom; energy above the lowest structure with this stoichiometry = 0 meV/atom; size of the total moment = 3.11 μB per formula unit; space-group type = No. 123; N(E_F) = 2.48 states/eV/atom
1.0
4.410 0.000 0.000
0.000 4.410 0.000
0.000 0.000 3.983
Np Ge As
1 1 2
direct
0.000 0.000 0.000
0.500 0.500 0.000
0.000 0.500 0.500
0.500 0.000 0.500


AcGa2O4, optimized geometry, DFT PBE-GGA; energy relative to the elements, uncorrected = -2124 meV per atom; energy above the lowest structure with this stoichiometry = 128 meV/atom; size of the total moment = 0.00 μB per formula unit; space-group type = No. 66; N(E_F) = 0.18 states/eV/atom
1.0
2.717 -4.427 0.000
2.717 4.427 0.000
0.000 0.000 8.846
Ac Ga O
2 4 8
direct
0.000 0.000 0.250
0.000 0.000 0.750
0.300 0.690 0.000
0.310 0.700 0.500
0.690 0.300 0.500
0.700 0.310 0.000
0.000 0.500 0.154
0.000 0.500 0.846
0.073 0.292 0.500
0.292 0.073 0.000
0.500 0.000 0.346
0.500 0.000 0.654
0.708 0.927 0.000
0.927 0.708 0.500


K2ZrPt, optimized geometry, DFT PBE-GGA; formation enthalpy at 0 K = -0.0607 eV per atom; energy above the lowest structure with this stoichiometry = 46 meV/atom; size of the total moment = 0.32 μB per formula unit; space-group type = No. 12; N(E_F) = 0.77 states/eV/atom
1.0
21.054 0.000 0.000
0.000 3.518 0.000
-0.800 0.000 4.044
K Zr Pt
4 2 2
********

 It might sound backwards or a complete defeat of the purpose of the message I heard tonight tot start up a blog, but my ultimate goal of this blog is to use it along-side with what I've been learning as I really dive into the Bible and strive to be more diligent in all aspects of my life. And talk about the two areas where I am lacking the most: prayer life and reading my bible/ quiet time/memorizing verses.

So now I say....


I once tried to start up a blog to go alongside my goal of getting through p90x. That lasted about 2 days and then I gave up. I just hope I can keep this up.

Data records from another source follow:
1.
Material: Ta2AlTl
Method: DFT, PBE-GGA
State: relaxed

Unit cell a=3.0122 b=3.0122 c=29.1832 alpha=90.00 beta=90.00 gamma=120.00
Space group R-3m (No. 166, hexagonal axes)
Asymmetric unit:
Ta: 0.0000 0.0000 0.2463 x6
Al: 0.0000 0.0000 0.5000 x3
Tl: 0.0000 0.0000 0.0000 x3

Calculated values
**Magnetic moment**: 0.00 μB per formula unit
**Formation enthalpy at 0 K**: 0.30 eV per atom

***

2.
Material: Ac2AlBr
Method: DFT, PBE-GGA
State: relaxed

Unit cell a=3.783 b=3.783 c=8.816 alpha=90.00 beta=90.00 gamma=90.00
Space group P4/mmm (No. 123)
Asymmetric unit:
Ac: 0.000 0.000 0.232 x2
Al: 0.500 0.500 0.000 x1
Br: 0.500 0.500 0.500 x1

Calculated values
**Magnetic moment**: 0.00 μB per formula unit
**Raw formation energy**: -275 kJ/mol of formula units

***

3.
Material: Mg3ZrGe
Method: DFT, PBE-GGA
State: relaxed

Unit cell a=4.973 b=4.973 c=4.973 alpha=90.00 beta=90.00 gamma=90.00
Space group Pm-3m (No. 221)
Asymmetric unit:
Mg: 0.000 0.000 0.500 x3
Zr: 0.500 0.500 0.500 x1
Ge: 0.000 0.000 0.000 x1

Calculated values
**Magnetic moment**: 0.00 μB per formula unit
**Formation enthalpy at 0 K**: 0.55 eV per atom

***

4.
Material: Sc2BeNi
Method: DFT, PBE-GGA
State: relaxed

Unit cell a=3.044 b=4.429 c=9.516 alpha=90.00 beta=90.00 gamma=90.00
Space group Imm2 (No. 44)
Asymmetric unit:
Sc: 0.000 0.000 0.000 x2
Sc: 0.000 0.500 0.207 x2
Be: 0.000 0.500 0.782 x2
Ni: 0.000 0.000 0.452 x2

Calculated values
**Magnetic moment**: 0.00 μB per formula unit
**Formation enthalpy at 0 K**: -0.17 eV per atom

***

5.
Material: Nd2Zn4Ga3Pt
Method: DFT, PBE-GGA
State: relaxed

Unit cell a=4.258 b=4.258 c=10.585 alpha=90.00 beta=90.00 gamma=90.00
Space group P-4m2 (No. 115)
Asymmetric unit:
Nd: 0.000 0.500 0.246 x2
Zn: 0.000 0.000 0.500 x1
Zn: 0.000 0.500 0.865 x2
Zn: 0.500 0.500 0.500 x1
Ga: 0.000 0.000 0.000 x1
Ga: 0.000 0.500 0.635 x2
Pt: 0.500 0.500 0.000 x1

Calculated values
**Magnetic moment**: 0.00 μB per formula unit
**Formation enthalpy at 0 K**: -0.53 eV per atom

***

6.
Material: SmTl4F7
Method: DFT, PBE-GGA
State: relaxed

Unit cell a=19.801 b=4.472 c=6.653 alpha=90.00 beta=107.62 gamma=90.00
Space group C2/m (No. 12)
Asymmetric unit:
Sm: 0.000 0.000 0.000 x2
Tl: 0.095 0.500 0.571 x4
Tl: 0.204 0.500 0.175 x4
F: 0.000 0.500 0.000 x2
F: 0.076 0.000 0.807 x4
F: 0.095 0.000 0.294 x4
F: 0.221 0.500 0.810 x4

Calculated values
**Magnetic moment**: 0.00 μB per formula unit
**Raw formation energy**: -2908 kJ/mol of formula units

***

7.
Material: LaGdScGa
Method: DFT, PBE-GGA
State: relaxed

Unit cell a=7.541 b=7.541 c=7.541 alpha=90.00 beta=90.00 gamma=90.00
Space group F-43m (No. 216)
Asymmetric unit:
La: 0.000 0.000 0.000 x4
Gd: 0.000 0.000 0.500 x4
Sc: 0.250 0.250 0.750 x4
Ga: 0.250 0.250 0.250 x4

Calculated values
**Magnetic moment**: 8.34 μB per formula unit
**Formation enthalpy at 0 K**: -0.17 eV per atom

***

8.
Material: Ca2Ho3NpN6
Method: DFT, PBE-GGA
State: relaxed

Unit cell a=5.998 b=10.378 c=5.965 alpha=90.00 beta=109.48 gamma=90.00

At least it's a start. 

Peace, love, and grace be with you.